Dark Cloud
I know I'm in the minority in loving Super Mario 3D World, but I'd love a 3D Mario game that was a mix between Super Mario 64 and 3D World.
I know I'm in the minority in loving Super Mario 3D World......
He said he didn't think the Wii U was different enough. And he has said that the NX is a new concept. I expect something original unique and new first and foremost. I'm sure they will leave the door open for 3rd parties. I'm sure 3rd parties will have at least one game each at launch. But wouldn't count on more. And wouldn't count on anyone buying the NX to play western 3rd party games.
Dam would love a 2.5~3.0 Tflops console from nintendo.
Haven't really put much stock into nintendo consoles because of the little performance
they have.
Simulated powder XRD pattern
Compound: Ce8Tl3Sn4
Radiation: a wavelength of 1.5418 Å
Structure: a crystal structure in Alexandria, relaxed with PBE
Kinematic intensities with the Lorentz-polarization factor, no thermal factor.

```
data_Ce8Tl3Sn4
_chemical_formula_sum 'Ce16 Tl6 Sn8'
_space_group_name_H-M_alt 'C 1 2/m 1'
_space_group_IT_number 12
_cell_length_a 12.879
_cell_length_b 12.751
_cell_length_c 7.239
_cell_angle_alpha 90.00
_cell_angle_beta 124.06
_cell_angle_gamma 90.00
loop_
_space_group_symop_operation_xyz
'x,y,z'
'-x,-y,-z'
'-x,y,-z'
'x,-y,z'
'x+1/2,y+1/2,z'
'-x+1/2,-y+1/2,-z'
'-x+1/2,y+1/2,-z'
'x+1/2,-y+1/2,z'
loop_
_atom_site_label
_atom_site_type_symbol
_atom_site_fract_x
_atom_site_fract_y
_atom_site_fract_z
_atom_site_occupancy
Ce1 Ce 0.000 0.237 0.000 1
Ce2 Ce 0.000 0.248 0.500 1
Ce3 Ce 0.248 0.000 0.995 1
Ce4 Ce 0.250 0.000 0.508 1
Tl1 Tl 0.000 0.500 0.500 1
Tl2 Tl 0.250 0.250 0.000 1
Sn1 Sn 0.000 0.000 0.500 1
Sn2 Sn 0.000 0.500 0.000 1
Sn3 Sn 0.250 0.250 0.500 1
```

Main lines, low angle first (2θ from 5° to 70°):
2theta	I_rel	index
27.99	60	0 4 0
29.83	100	0 0 2
33.60	39	4 0 0
41.36	83	0 4 2
44.28	34	4 4 0
50.43	12	4 0 -4
58.66	15	4 4 -4
65.34	11	4 4 2
65.45	11	8 4 -2
66.45	20	0 8 2


Structure and simulated X-ray powder pattern of Ba2Ho2Co4O11 (a crystal structure in Alexandria, relaxed with PBE+U; Cu Kα X-rays).
No peak broadening, texture or thermal motion is included.

Atomic structure:
Cell: 3.9176 7.6974 7.7936 Å, 90.00 90.00 90.00°
Space group Pmm2 (No. 25)
Symmetry-distinct sites (fractional):
1 Ba 0.0000 0.0000 0.0000 [1 per cell]
2 Ba 0.0000 0.0000 0.4980 [1 per cell]
3 Ho 0.0000 0.5000 0.0203 [1 per cell]
4 Ho 0.0000 0.5000 0.4757 [1 per cell]
5 Co 0.5000 0.2558 0.2504 [2 per cell]
6 Co 0.5000 0.2601 0.7513 [2 per cell]
7 O 0.0000 0.2821 0.2467 [2 per cell]
8 O 0.0000 0.3165 0.7507 [2 per cell]
9 O 0.5000 0.0000 0.2476 [1 per cell]
10 O 0.5000 0.0000 0.7521 [1 per cell]
11 O 0.5000 0.3001 0.5197 [2 per cell]
12 O 0.5000 0.3085 0.9828 [2 per cell]
13 O 0.5000 0.5000 0.2639 [1 per cell]

Peak list (10 most intense, 2θ = 10–80°, in order of rising 2θ)
- 2θ 22.70, 3.918 Å, I 8
- 2θ 32.41, 2.763 Å, I 46
- 2θ 32.66, 2.742 Å, I 100
- 2θ 40.18, 2.244 Å, I 21
- 2θ 46.35, 1.959 Å, I 15
- 2θ 46.62, 1.948 Å, I 13
- 2θ 47.23, 1.924 Å, I 12
- 2θ 57.88, 1.593 Å, I 19
- 2θ 58.05, 1.589 Å, I 17
- 2θ 58.45, 1.579 Å, I 21
### Here the entry continues
Wasn't new enough? New compared to what? The Wii, or what was currently out there (Ps3/360?)
It's crazy to see howmany gamesites taking nx information from neogaf.
Also found this game engine: https://www.youtube.com/watch?v=DbMpqqCCrFQ
Wonder if Nx could run it
Yeah Nintendo could do Galaxy 3 but I would want them to do something entirely new. A new concept like Sunshine or Galaxy.
I would love to have that feeling of open world with the Hub like in 64 or Sunshine. I spent so much time just exploring, jumping on the roofs of Delphino plaza, chilling at the beach and playing with coconuts and so on.
That was for Smash 4 DLC.I don't think that's a fair comparison. TPHD was outsourced.
A lot of signs point to a good chance, especially if Namco Bandai/Nintendo is still handling it. (the job listing for SSB5?)
I am willing to bet on a complete edition with at LEAST 1 exclusive character.
It'll be done in agreement with the old guard. I don't think Kimishima is in the same "quitus" position as was Iwata. It's not a movie cast guys.
A gamepad with screen was new, but didn't changed allot of how you played games, we already experience it on nds GC+gba. There is some small new experience like amiibo.
The wii did offer a whole new experience.
the most devices from nintendo offered a new experience.
Hope they can do it again, but this times again with a powerfull console.
Lol no it wouldn't remember ps2 vs gamecube, yes gamecube was more powerful but the ps2 stream rolled it, I can't believe anyone thinks sony is worried about the power of nx, Sony will have a 50 million lead by the time nx launches.
Of course Sony is worried about more powerful consoles. Most gamers from the PS360Wii gen don't even have a current gen console yet.
Sony leads simply because they had the most powerful console. If the XOne had been more powerful it had the lead. When it comes to exclusive games the PS4 is behind both XOne and Wii U, but multiplatform games are almost always better on PS4.
Sony is fully aware why the PS4 is successful thats the reason for the PS4k.
why are we comparing the ps4 to a gen 9 platform?
I know I'm in the minority in loving Super Mario 3D World, but I'd love a 3D Mario game that was a mix between Super Mario 64 and 3D World.
Reading through the thread I started thinking that at the very same time we're discussing these rumors, Nintendo employees must be doing some of the following at Kyoto HQ:
-Finalizing target designs for the console, controller and other peripherals.
-Deciding color schemes, logos, typography and basic marketing between several options.
-Working on technical demos, playable demos and trailers.
-Testing latest stable build of NX OS in prototypes destined to E3/press event.
-Sending memos to key third parties about deadlines for E3 demos/trailers.
-Maybe recording/editing the next Nintendo Direct and designing/sending invitations for the press.
-Recording interviews with Nintendo engineers, designers and third party members about development.
-Recording promotional videos with actors showing the new controller possibilities (and non-specific-action-figure).
...right now, as we speak, they're working frenetically against the clock, designing, touching, playing the NX...
it's almost here...
History has shown this to be factually untrue. In fact, if microsoft hadnt botched the xbone reveal i think the current gen sales landscape would look very different.
Agreed. The planets thing was cool, but I'd rather have larger spaces to run around and explore in the next one. You're right, you could have a blast just goofing around in Delphino Plaza. Sunshine is underrated IMO.
Historically most people were not informed about console specs and power, so your point is not valid.
I did not know if Gamecube or ps2 was more powerful, because social media and forums were not so widespread like today. Ps2 played discs, that alone was important.
Also Sony marketed the Ps4 like this
History is not always relevant when circumstances change.
If someone flips a coin you would guess heads or tails or go with what you like. If you knew the coin was weighted and shaped to favour landing on heads....then things are different. This generation is the first time allot of people understand console relative power.
Of course Sony is worried about more powerful consoles. Most gamers from the PS360Wii gen don't even have a current gen console yet.
Sony leads simply because they had the most powerful console. If the XOne had been more powerful it had the lead. When it comes to exclusive games the PS4 is behind both XOne and Wii U, but multiplatform games are almost always better on PS4.
Sony is fully aware why the PS4 is successful thats the reason for the PS4k.
Well, just last generation the best selling console wasn't the most powerful. So you don't even have to go back to the PS2. At the end of the day what has now is far more important than power, and that's mindshare. That's why the PS4 still sells more even with all of the promotions and pricedrops that MS does. It's simply the go to console this generation for most people.
You're completely ignoring the colossal fan backlash Microsoft got when they were talking about the console not being able to play used games and being always online required. They took a huge hit with the audience over that. I am convinced that played a big role in what is happening now.
Why not? People like to compare the pc to consoles but god forbid people compare console's less then 5 years apart?why are we comparing the ps4 to a gen 9 platform?
Sony leads simply because they had the most powerful console. If the XOne had been more powerful it had the lead. When it comes to exclusive games the PS4 is behind both XOne and Wii U, but multiplatform games are almost always better on PS4.
Sony is fully aware why the PS4 is successful thats the reason for the PS4k.
I have no idea why that potshot was taken against me. I'm just a messenger, who actually did investigating, checked with multiple sources from within the industry, ranging from devs to journalists, PM'd two mods the info, was told by Nirolak it was ok to post, and I posted it as a rumor. If that makes me unverified, so be it. I'm just trying to create fun discussion with legitimate information, I'm a messenger, not an insider, and I'm not doing it for the fifteen minutes of fame. Maybe some mods hadn't seen that Nirolak was informed and assumed I was fake. It's not like I said I knew Miyamoto and had the NX spec sheet with me.
Historically most people were not informed about console specs and power, so your point is not valid.
I did not know if Gamecube or ps2 was more powerful, because social media and forums were not so widespread like today. Ps2 played discs, that alone was important.
Also Sony marketed the Ps4 like this
History is not always relevant when circumstances change.
If someone flips a coin you would guess heads or tails or go with what you like. If you knew the coin was weighted and shaped to favour landing on heads....then things are different. This generation is the first time allot of people understand console relative power.
It's curious that you referred to NX as a "gen 9 platform"; it hadn't occurred to me before.why are we comparing the ps4 to a gen 9 platform?
This generation is the first time allot of people understand console relative power.
Back in the day, everyone knew it was Xbox > Gamecube > PS2 > DreamcastHistorically most people were not informed about console specs and power, so your point is not valid.
I did not know if Gamecube or ps2 was more powerful, because social media and forums were not so widespread like today. Ps2 played discs, that alone was important.
Also Sony marketed the Ps4 like this
### Inserted here: calculated crystals
+++
HoNbN2O: simulated powder XRD pattern (copper Kα), based on a cell relaxed with PBE.

Structural model:
```
HoNbN2O
1.0
7.8105 0.0000 0.0000
0.0000 5.4959 0.0000
0.0000 0.0000 5.7698
Ho Nb N O
4 4 8 4
direct
0.0000 0.2441 0.0000 Ho
0.0000 0.7559 0.5000 Ho
0.5000 0.2483 0.1239 Ho
0.5000 0.7517 0.6239 Ho
0.2569 0.2666 0.5762 Nb
0.2569 0.7334 0.0762 Nb
0.7431 0.2666 0.5762 Nb
0.7431 0.7334 0.0762 Nb
0.0000 0.3471 0.5853 N
0.0000 0.6529 0.0853 N
0.3038 0.4380 0.8662 N
0.3038 0.5620 0.3662 N
0.5000 0.1386 0.5071 N
0.5000 0.8614 0.0071 N
0.6962 0.4380 0.8662 N
0.6962 0.5620 0.3662 N
0.1956 0.0640 0.2319 O
0.1956 0.9360 0.7319 O
0.8044 0.0640 0.2319 O
0.8044 0.9360 0.7319 O
```

Main lines, by angle (10° ≤ 2θ ≤ 90°):
| two_theta | I/Imax |
| --- | --- |
| 25.11 | 128 |
| 31.00 | 213 |
| 32.11 | 1000 |
| 32.59 | 256 |
| 45.59 | 176 |
| 46.51 | 126 |
| 51.70 | 119 |
| 57.88 | 332 |

Zr2PbS4: simulated powder XRD pattern (copper Kα), based on a cell relaxed with PBE.

Structural model:
```
Zr2PbS4
1.0
3.2886 -5.2247 0.0000
3.2886 5.2247 0.0000
0.0000 0.0000 10.1603
Zr Pb S
4 2 8
direct
0.2400 0.7554 0.0000 Zr
0.2446 0.7600 0.5000 Zr
0.7554 0.2400 0.5000 Zr
0.7600 0.2446 0.0000 Zr
0.5000 0.5000 0.2500 Pb
0.5000 0.5000 0.7500 Pb
0.0000 0.5000 0.3150 S
0.0000 0.5000 0.6850 S
0.1927 0.3275 0.0000 S
0.3275 0.1927 0.5000 S
0.5000 0.0000 0.1850 S
0.5000 0.0000 0.8150 S
0.6725 0.8073 0.5000 S
0.8073 0.6725 0.0000 S
```

Main lines, by angle (10° ≤ 2θ ≤ 90°):
| two_theta | I/Imax |
| --- | --- |
| 15.92 | 658 |
| 23.71 | 586 |
| 24.44 | 555 |
| 29.01 | 222 |
| 34.33 | 263 |
| 35.34 | 251 |
| 36.82 | 1000 |
| 57.88 | 187 |

TbNdAg2Sb4: simulated powder XRD pattern (copper Kα), based on a cell relaxed with PBE.

Structural model:
```
TbNdAg2Sb4
1.0
4.3762 0.0000 0.0000
0.0000 4.3762 0.0000
0.0000 0.0000 10.5610
Tb Nd Ag Sb
1 1 2 4
direct
0.0000 0.0000 0.0000 Tb
0.5000 0.5000 0.5259 Nd
0.0000 0.5000 0.2582 Ag
0.5000 0.0000 0.2582 Ag
0.0000 0.0000 0.4395 Sb
0.0000 0.5000 0.7666 Sb
0.5000 0.0000 0.7666 Sb
0.5000 0.5000 0.0774 Sb
```

Main lines, by angle (10° ≤ 2θ ≤ 90°):
| two_theta | I/Imax |
| --- | --- |
| 26.45 | 119 |
| 33.57 | 1000 |
| 33.95 | 145 |
| 39.88 | 82 |
| 41.26 | 339 |
| 54.46 | 147 |
| 59.77 | 111 |
| 70.32 | 225 |

Nb5Ni4As4: simulated powder XRD pattern (copper Kα), based on a cell relaxed with PBE.

Structural model:
```
Nb5Ni4As4
1.0
-5.1126 5.1126 1.8341
5.1126 -5.1126 1.8341
5.1126 5.1126 -1.8341
Nb Ni As
5 4 4
direct
0.0000 0.0000 0.0000 Nb
0.3056 0.3714 0.6771 Nb
0.3714 0.6944 0.0658 Nb
0.6286 0.3056 0.9342 Nb
0.6944 0.6286 0.3229 Nb
0.1064 0.5822 0.6886 Ni
0.4178 0.1064 0.5243 Ni
0.5822 0.8936 0.4757 Ni
+++
### So much for the calculated crystals
History is not always relevant when circumstances change.
If someone flips a coin you would guess heads or tails or go with what you like. If you knew the coin was weighted and shaped to favour landing on heads....then things are different. This generation is the first time allot of people understand console relative power.
What are you on about? Every magazine had features on console hardware. We didn't all sit around on the dark wondering what we were playing pre-1990 you know. I knew the relative powers at the time, just like I did for PS1 vs N64 and SNES vs MD and Amiga vs Atari.
Since the dawn of time there have been technical wars waged in the name of someone's console of choice.
It's just the arguments are now a lot more public, because it's not buried deep in the bowels that is Usenet. But I don't agree they are more plentiful, unless you want to argue that due to sheer numbers of people who game now cause it to be, in which case the percentage of people who are informed/not informed are likely the same.
I did not know the relative powers of those consoles at the time, and yes I was an avid gamer. Today people quote TFLOPS and numbers, its easy....back then I had no idea.
We will just disagree, for me the defining moment was when COD Ghosts was pronounced at 720p on Xb1, and Sony marketed the Ps4 as the worlds most powerful console. I dont recall that in previous generations, ever.
It just means you were uninformed. Perhaps you started caring more about this stuff when you got older.I did not know the relative powers of those consoles at the time, and yes I was an avid gamer. Today people quote TFLOPS and numbers, its easy....back then I had no idea.
The sources I provided were verified. I was told "the fact that nobody banned you should be proof positive that things were cool". The sources, although second hand, were verified.Ah, just saw this earlier post in the thread. You did some serious investigation and that's impressive and appreciated. I'm unsure if you saw my earlier post yesterday evening, (http://www.neogaf.com/forum/showpost.php?p=200908644&postcount=2551), but I have no qualms about your own trustworthiness. It's the sources themselves I'm apprehensive about.
In Trev's case, AFAIK, the sources themselves were vetted. So, I had been wondering whether your sources were vetted by the mods here, i.e. a formal "verification" process, or if that did not take place and in this case this is more of a rumor per se (with unverified (by GAF mods) sources), rather than a leak as in Trev's case (with his sources being verified by mods). (Yeah, I know the title says rumor lol, I'm not meaning to be difficult here, truly.) I really just wanted to check my own understanding here as to which way I'm supposed to interpret the OP. From this post above that I missed previously, it seems it's more in the rumor camp than the leak camp, but if I'm mistaken about that and it's more proven or verified information, then I'd be glad to take it as such.
(I'll say once more my intention is by no means to be unappreciative or douchey, and my apologies if it comes off as such.)
Of course Sony is worried about more powerful consoles. Most gamers from the PS360Wii gen don't even have a current gen console yet.
Sony leads simply because they had the most powerful console. If the XOne had been more powerful it had the lead. When it comes to exclusive games the PS4 is behind both XOne and Wii U, but multiplatform games are almost always better on PS4.
Sony is fully aware why the PS4 is successful thats the reason for the PS4k.
The sources I provided were verified. I was told "the fact that nobody banned you should be proof positive that things were cool". The sources, although second hand, were verified.
lol the game was a 2-3 yr old port with a design gimmick centered on the 2nd screen controller from a lesser system by the time it got to the X1/Ps4.
yes it wasn't the greatest game in the world, but it was a pretty good launch game. Yet still did poorly.
I do find it kind of unbelievable they will make a relatively big and power hungry box, as it would mark a huge shift in design philosophy.
How much power consumption would it take to be a PS4+ 3 years later? I doubt they can do it under 50 watt which is a lot for a Nintendo console.
Those should almost be in the OP, or at least a summary of them, they were helpful.
I suppose I could but LCGeek's post isn't anything new that hasn't been said in the OP (i.e. the NX is more powerful than the PS4) plus post itself is kind of negative. I have no idea the Thraktor said though.
MMM, thats a difficult one last gen, most powerful was almost a draw. And funnily enough, 360 and Ps3 were very close world wide...
360 ran most multiplat games better, especially stuff in unreal engine 3. Digital foundry had a rack of 360 winning titles, and 360 certainly gave ps3 a run for its money and established MS in the market place.
But on paper, if the cells SPE was used, Ps3 could pull the best visuals..but only Sony first party ever seemed to bother.
So even last gen I would say 360 power for multiplats helped it grow MS share over Sony considerably. Cerny was smart and learned from this, easy power for all multiplats is 1 important factor (as is online, X party chat, Social integration).
For generations you couldn't really make that sort of statement, because every console was built on it's own custom shit that was in no way directly comparable to another console.
_Attached: data records_
'''
(1)
Simulated X-ray powder pattern of Ba5PbO8 for λ = 1.5418 Å (Cu Kα), from a DFT-relaxed cell (GGA-PBE, Alexandria).

Principal peaks in the range 10° ≤ 2θ ≤ 90°, in order of rising 2θ:
d_spacing, I_rel
3.405, 59
3.278, 100
2.688, 36
2.527, 30
2.508, 22
2.165, 21
1.885, 19
1.774, 15
1.743, 22
1.560, 15

Crystal structure
Lattice parameters (Å, degrees): 7.058 7.058 7.058 111.62 111.62 105.25
Positions (direct):
Ba  0.000  0.000  0.000
Ba  0.125  0.513  0.873
Ba  0.487  0.360  0.612
Ba  0.640  0.252  0.127
Ba  0.748  0.875  0.388
Pb  0.250  0.750  0.500
O  0.005  0.244  0.398
O  0.240  0.063  0.710
O  0.352  0.529  0.290
O  0.393  0.995  0.240
O  0.471  0.760  0.823
O  0.756  0.154  0.760
O  0.846  0.607  0.602
O  0.937  0.648  0.177

=====

(2)
Simulated X-ray powder pattern of Ba4PbO6 for λ = 1.5418 Å (Cu Kα), from a DFT-relaxed cell (GGA-PBE, Alexandria).

Principal peaks in the range 10° ≤ 2θ ≤ 90°, in order of rising 2θ:
d_spacing, I_rel
5.329, 30
3.366, 48
3.078, 100
2.661, 26
2.381, 36
2.272, 24
2.014, 13
1.828, 13
1.777, 36
1.539, 15

Crystal structure
Lattice parameters (Å, degrees): 7.534 7.534 7.534 90.13 90.13 90.13
Positions (direct):
Ba  0.111  0.750  0.389
Ba  0.250  0.250  0.250
Ba  0.250  0.611  0.889
Ba  0.389  0.111  0.750
Ba  0.611  0.889  0.250
Ba  0.750  0.389  0.111
Ba  0.750  0.750  0.750
Ba  0.889  0.250  0.611
Pb  0.000  0.000  0.000
Pb  0.500  0.500  0.500
O  0.058  0.924  0.714
O  0.076  0.286  0.942
O  0.214  0.424  0.558
O  0.286  0.942  0.076
O  0.424  0.558  0.214
O  0.442  0.786  0.576
O  0.558  0.214  0.424
O  0.576  0.442  0.786
O  0.714  0.058  0.924
O  0.786  0.576  0.442
O  0.924  0.714  0.058
O  0.942  0.076  0.286

=====

(3)
Simulated X-ray powder pattern of BaPb3O4 for λ = 1.5418 Å (Cu Kα), from a DFT-relaxed cell (GGA-PBE, Alexandria).

Principal peaks in the range 10° ≤ 2θ ≤ 90°, in order of rising 2θ:
d_spacing, I_rel
3.483, 22
3.168, 24
3.052, 100
2.343, 20
2.011, 22
1.806, 23
1.698, 26
1.679, 17
1.289, 14
1.244, 9

Crystal structure
Lattice parameters (Å, degrees): 8.043 8.043 6.336 90.00 90.00 120.00
Positions (direct):
Ba  0.333  0.667  0.250
Ba  0.667  0.333  0.750
Pb  0.163  0.347  0.750
Pb  0.184  0.837  0.750
Pb  0.347  0.163  0.250
Pb  0.653  0.816  0.750
Pb  0.816  0.653  0.250
Pb  0.837  0.184  0.250
O  0.000  0.398  0.000
O  0.000  0.398  0.500
O  0.333  0.667  0.750
O  0.398  0.000  0.000
O  0.398  0.000  0.500
O  0.602  0.602  0.000
O  0.602  0.602  0.500
O  0.667  0.333  0.250

=====

(4)
Simulated X-ray powder pattern of Ba9Pb3O2 for λ = 1.5418 Å (Cu Kα), from a DFT-relaxed cell (GGA-PBE, Alexandria).

Principal peaks in the range 10° ≤ 2θ ≤ 90°, in order of rising 2θ:
d_spacing, I_rel
3.966, 5
3.238, 100
2.804, 55
1.983, 40
1.691, 45
1.619, 14
1.402, 6
1.287, 18
1.254, 18
1.145, 14

Crystal structure
Lattice parameters (Å, degrees): 7.930 7.930 9.719 90.00 90.00 120.00
Positions (direct):
Ba  0.000  0.500  0.000
Ba  0.173  0.345  0.675
Ba  0.173  0.827  0.675
Ba  0.345  0.173  0.325
'''
This is the first generation where both the leading consoles are effectively built on the same platform, and thus offer a more direct way to compare..
But the best selling console from that gen was the Wii. Which adds to the list of generations where the strongest didn't actually win that generation. I actually don't think that the strongest console has ever won a generation. Someone always comes along with a console that's more powerful.
You mean N gen?why are we comparing the ps4 to a gen 9 platform?
Nice, NGen, as in "engine". I like it, the driving force from here and beyond. LolYou mean N gen?
So, what's your interest in the NX then?Havent owned a Nintendo since the snes, Doesn't matter how powerful it is, I still dont wanna play Mario anymore or any other nintendo game.
Havent owned a Nintendo since the snes, Doesn't matter how powerful it is, I still dont wanna play Mario anymore or any other nintendo game.
So, what's your interest in the NX then?
Havent owned a Nintendo since the snes, Doesn't matter how powerful it is, I still dont wanna play Mario anymore or any other nintendo game.
I can tell you mine if that helps, I like console gaming, and play on the most capable console for multiplat games, dont care if its Nintendo, MS or Sony, and will eneter each MS, N or sony next console thread showing interest....But I am never playing at a desk with a mouse or mixing with that playerbase online.
Havent owned a Nintendo since the snes, Doesn't matter how powerful it is, I still dont wanna play Mario anymore or any other nintendo game.
Havent owned a Nintendo since the snes, Doesn't matter how powerful it is, I still dont wanna play Mario anymore or any other nintendo game.
I can tell you mine if that helps, I like console gaming, and play on the most capable console for multiplat games, dont care if its Nintendo, MS or Sony, and will eneter each MS, N or sony next console thread showing interest....But I am never playing at a desk with a mouse or mixing with that playerbase online.